
The voice

Kaley got back to her senses and said "I will drop you to the company and then go to meet Kai, I already mentioned to him that you are going to a interview and can't meet him in the morning." After having breakfast, Mia got dressed up and was on her phone checking the data of the company which she has interview for as her mother Grace calls her.

Grace complains about Mia's brother Ethan, who is nearing his collage entrance exams and is out all day playing sports and her father got angry when he got to know about it. She asked Mia to talk about it with her brother, and not make her father angry. "your father's health is not good lately, and Ethan is making him anxious about his studies. Ethan only listens to you, get him to study properly."

"Ok mom, I will talk to him about it. I have a interview and will be free after that. Take care of yourself and dad, i will be home once I'm free." replied Mia. "Ok, do a good job for your interview and take good care of yourself and bring Kaley along once you both have time" said as her mother hang up.

As the company was a little far from their university it them almost a hour to reach there. Kaley sent Mia off at the company and went for her date with Kai. ZQ corporation, Mia was now standing infront of a tall glass building determined to get the job.

ZQ corp is one of the best companies and has footing in wide range of industries all over the world such as contruction, real estate, entertainment, electronics and many more. Mia wanted to get some experience of handling business before could help her dad.

As soon as Mia entered the building, Shadow the one who was following Mia spoke into his ear piece "Sir, just reached."

"Ok, follow the plan and do not leave any traces. Everything should go according to the plan" said the man as he hung up. He was watching the survelliance of Mia enterning the building with a mysterious smile "You are not gonna escape from me now. see you soon, Queen."

If Mia heard him talk, she would recognise it in a breath. The voice that had been taunting her for the past few months everyday. His voice is as if he is The Satan directly from hell.

Michael Zuk, the King of wealth and also the secret big boss behind the ZQ corporation. Not many people know about his identity as he never made a public apperence. He rarely comes to the office, but there was an important meeting with higher management today. He could let his assistant handle the meetings but not today.Mia is here today and Michael doesn't want to let this chance miss by to have an encounter with her.

Mia entered the building and went straight to reception to ask about the interview. The interview was held on 20th floor, she got a temporary access to enter the company and went ahead as directed by the receptionist.

When Michael is ready to go meet her, when he was interrupted by his assistant that their client Mr.Han came a day earlier than expected. He gave Shadow, who was assigned to follow Mia a heads up that he was going to a meeting and take care of everything on Mia's end until he was done with the meeting.

As the meeting was rather important and the client has done business with them for generations and could be considered as family friend, so he has no choice but to recieve the guest himself.


All the members who are there for interview were setted in a small conference room and the room next to that was where they held the interview. There about twenty to thirty people in the room in which only five of them will get the job. When they thought that interview is going to start, it was announced that there will be a delay.

By the time Mia's interview has ended it was around 2pm, Mia was told to wait for the news from the company but she was sure from their atittude that she did a good job and almost got the job. Mia called Kaley to pick her up.

-- Data records from another source follow --
┌──
The following is a quantum chemistry calculation of a cluster of 7 separate species, C33H84N11O8P2 in total at a distorted geometry, from the Open Molecules 2025 dataset.

ORCA input file:
```
! wB97M-V def2-TZVPD RIJCOSX def2/J DEFGRID3
* xyz 1 1
C -0.1065 8.1121 -1.0487
C -0.2644 6.8368 -0.7420
C -0.4242 5.7556 -1.8007
C -0.6919 4.4127 -1.2217
C 0.2138 3.4357 -0.9278
P 2.0302 3.3194 -1.1643
N 2.6497 4.3447 0.0442
O 2.0668 4.2805 -2.5020
N -0.5087 2.3597 -0.4278
P -0.0165 0.7580 0.0994
N 1.4914 0.4926 0.2253
C -1.8038 2.6651 -0.4315
N -1.9511 3.8888 -0.8996
N -3.2255 4.4624 -1.1209
C -4.2627 3.6544 -0.4782
C -3.3000 5.8925 -0.7042
C -3.5379 6.2210 0.7426
O -3.1918 6.7254 -1.5595
H -0.0845 8.8892 -0.2987
H 0.0144 8.4256 -2.0798
H -0.2294 6.5193 0.2973
H -1.2046 6.0388 -2.5023
H 0.5158 5.6840 -2.3410
H 3.3907 3.8306 0.5094
H 1.9826 4.6445 0.7457
H 2.9720 4.5939 -2.6256
H -0.7398 0.6953 1.2930
H -0.6554 -0.0282 -0.8582
H 1.8090 -0.2383 -0.3994
H -2.5674 1.9587 -0.1299
H -4.0538 3.4671 0.5804
H -5.1920 4.2163 -0.5432
H -4.3795 2.7094 -1.0037
H -3.9654 7.2214 0.7641
H -2.5746 6.2706 1.2529
H -4.2089 5.5454 1.2620
C 2.5830 8.2217 4.0978
C 2.5295 6.9364 3.2802
C 2.2924 5.6755 4.1240
O 3.4210 5.2099 4.8241
C 3.6734 5.8355 6.0706
N 3.7388 6.8458 2.4613
H 3.5265 8.3154 4.6345
H 2.4981 9.0855 3.4401
H 1.7692 8.2655 4.8238
H 1.6748 7.0163 2.5969
H 2.0213 4.8577 3.4454
H 1.4474 5.8190 4.8119
H 2.7403 6.0899 6.5818
H 4.2801 6.7366 5.9591
H 4.2265 5.1250 6.6822
H 3.6756 6.0569 1.8255
H 4.5165 6.6150 3.0737
C -1.8237 -4.3049 2.6211
C -0.5413 -3.6149 3.0661
C -0.6352 -3.0291 4.4794
O -1.3790 -1.8253 4.5625
C -2.7830 -1.9877 4.6644
N -0.1452 -2.5956 2.0847
H -2.6080 -3.5916 2.3652
H -1.6382 -4.9121 1.7342
H -2.2075 -4.9567 3.4073
H 0.2500 -4.3695 3.0847
H 0.3725 -2.7733 4.8166
H -1.0371 -3.7699 5.1813
H -3.0399 -2.8785 5.2440
H -3.2625 -2.0575 3.6839
H -3.1750 -1.1093 5.1767
H 0.7608 -2.2137 2.3432
H -0.7869 -1.8149 2.2046
C 0.6835 -0.1474 -5.6240
C 1.1664 0.9741 -4.7109
C 2.4206 1.6960 -5.2175
O 3.6225 0.9830 -5.0286
C 3.9307 0.0219 -6.0266
N 1.3494 0.4388 -3.3577
H 1.3170 -1.0306 -5.5441
H -0.3276 -0.4473 -5.3490
H 0.6701 0.1708 -6.6673
H 0.3719 1.7270 -4.6653
H 2.5330 2.6172 -4.6402
H 2.3046 1.9817 -6.2712
H 3.6083 0.3570 -7.0163
H 3.4774 -0.9444 -5.7978
H 5.0099 -0.1131 -6.0390
H 1.5647 1.1876 -2.7074
H 2.1918 -0.1309 -3.3668
C 8.0257 -4.9761 -5.8774
C 8.1184 -3.7306 -6.7528
C 7.2262 -2.5745 -6.2825
O 5.8501 -2.7207 -6.5858
C 5.1194 -3.5194 -5.6745
N 7.8644 -4.1101 -8.1434
H 7.1019 -5.5262 -6.0564
H 8.8511 -5.6499 -6.1020
H 8.0747 -4.7211 -4.8170
H 9.1480 -3.3647 -6.6963
H 7.5411 -1.6688 -6.8078
H 7.3572 -2.3893 -5.2078
H 5.4837 -3.4009 -4.6495
H 5.1591 -4.5740 -5.9556
H 4.0786 -3.1980 -5.7157
H 8.0350 -3.3158 -8.7526
H 6.8714 -4.3005 -8.2436
C -4.0319 -8.2298 4.1656
C -3.4019 -7.6550 5.4297
C -3.8873 -8.3202 6.7233
O -5.1756 -7.9214 7.1410
C -6.2564 -8.6083 6.5390
N -3.6062 -6.2020 5.4424
H -5.0614 -7.8942 4.0411
H -3.4755 -7.9017 3.2878
└──

Mia was feeling a little hungry so she went for the office cafeteria while waiting for Kaley. Then went in search for bathroom to remove her makeup, Mia doesn't usually wear makeup it was all Kaley who persuded her to do makeup. Mia was feeling her skin itch because of makeup for a long time, so choose to remove it before going downstairs to meet Kaley.

As she was removing her make up she heard someone talking outside. At first she did not care about it but then when they got near the door, she heard the voice clearer "About Mr.Han's requriements make sure to adjust the contract and be sure to submit it before work hours."

Mia was stunned for a second, "Am I dreaming...."